Consider the slide at 20:55. It appears to show two dispatch sources (S1, S2) that each target their own serial queues (Q1, Q2), which in turn targets a single serial queue (EQ). My interpretation of that slide, is that all of the work is serialized by the one root queue, which means that S1 and S2 do not provide any additional concurrency.A minute later, the speaker mentions that the order of the work items is guaranteed by the root "mutual exclusion queue", but that would have been the case anyways with a single dispatch source.A few more slides later, there's one titled "QoS and Target Queue Hierarchy" which attempts to explain why you'd want to use multiple dispatch sources. In this example, S1 has a low QoS while S2 has a high QoS. But since they both target a root queue, then there's a good chance that the entire tree will run at the higher QoS if S2 is adding a lot of worker items. That means that low priority items, added by S1, will get boosted to a higher QoS which is unlikely to be what I'd want. I'd much rather the system context switch over the higher QoS work item, execute it, then go back to the lower QoS work item. This isn't possible in the presented design because of the root queue.At 26:23, another example is presented using a "single mutual exclusion queue" as the root queue. In this example, the problem really seems to be that the jobs are too small to warrant individual work items. But the solution presented means that only a single event handler can be running at once.At 28:30 the subject of subsystems is brought up. It's very possible I'm mis-interpreting this part of the talk. The solutions presented involve each sub-system targeting a serial queue. (Main Queue, Networking Queue, Database Queue.) Excluding the main queue because it's special, why would I want the networking and database queues to be serial? A long running work item on either would significantly slow down the overall application. Multiple requests to read from a database should be allowed to happen concurrently, IMHO.My earlier comment regarding a single, root queue for the entire app was somewhat influenced by the subsequent slides that suggest using a "Fixed number of serial queue hierarchies."If you look at 31:30 "Mutual Exclusion Context", they show a simply tree with a root serial queue (EQ). On the next slide, they reference EQ as the Application queue, or at least that's how I read it.Finally, consider the slide at 43:00 "Protecting the Queue Hierarchy". The first bullet point suggests that one should "Build your queue hierarchy bottom to top." In that diagram, I see EQ as a root queue for the application, with Q1/S1 and Q2/S2 being task related or subsystems if the application is large enough.But even I was wrong concluding that there should be a root serial queue, I'm still conflicted as to why I'd want all my subsystems to have serial queues. If all of my tasks are long enough to warrant their own work items, then I want as many of them running reasonably possible given the cores available to me. If I'm rendering thumbnails on a MacBook Pro, then I might want 4-6 thumbnail requests to run concurrently. If I'm running on a Mac Pro, then I can handle a lot more. I can't have that flexibility if I build a hierarchy of serial queues, yet that seems to be Apple's recommendation in some of the more recent WWDC videos related to GCD.Follow-up:Proper use of GCD is obviously quite dependent on how your application is architected, so I'm clearly approaching this from my app's perspective. Out of interest, my app's architecture looks something like this:A half-dozen or so "managers", that one could consider to be sub-systems.Each manager has a single, concurrent execution queue with an appropriate QoS level.Each manager is responsible for a certain type of request. (Database, Export, Caching, Rendering, etc...)Requests are submitted to each task almost always from the main thread as a result of a user event.Requests are immutable and independent of each other. There are no locks are shared resources involved.Requests are allowed to execute out-of-order, if explicitly stated. (i.e.: Two database reads can happen out-of-order, but writes cannot.)Requests are relatively high-level and, with very few exceptions, run within their own work item. (i.e.: A request does not, in turn, spawn other GCD work items.)An example request might be exporting an image, rendering a thumbnail, performing a database operation, etc.A request might use a framework, like AVFoundation or Core Image, that in turn uses multi-threading. This is where some manual throttling needs to happen because if you have six cores and try to decode six RAW files concurrently, you'll have worse performance than decoding two or three concurrently since Image IO spawns a bunch of threads itself.Using serial queues in each manager/sub-system would reduce the concurrency in my app, and I've tested that by limiting how many concurrent thumbnail requests I allow at any given time and the degradation is visually obvious.So my app makes almost exclusive use of concurrent queues, with the odd barrier block when some form synchronization is required. However, this seems very much at odds with the above mentioned WWDC talk as well as tips listed on page:
Very much appreciate the double-reply, thank you.The thumbnail rendering situation was something I came across quite awhile ago. I was using dispatch_apply to request thumbnails of dozens or more images at once, but that quickly overwhelmed disk I/O and various other frameworks like Image IO. Back then, I had posted a question on StackOverflow related to just this issue: the end I just ended up using a normal concurrent queue with an explicit semaphore to throttle in-flight worker items, similar to NSOperationQueue.maxConcurrentOperationCount. Works for now, but it's an ad-hoc solution based on the number of reported CPU cores. I fully accept that there are no hard-and-fast rules for this and each application is somewhat different. Comparing my app's architecture to the talking points in the WWDC video, I feel like the video is using rather small dispatch work items while my app uses rather large ones. Most of my work items are "jobs", like exporting an image, fetching results from a database or rendering a thumbnail. For those types of operations, I'm not aiming for maximum throughput, but rather for the best user experience. For example, rendering three thumbnails concurrently might take longer to complete in an absolute sense, but if two of the thumbnails are for small images and one of the thumbnails is for a massive panorama, then it's very likely the two thumbnails will finish sooner and thus be shown to the user quickly. Had they have had to wait for the panorama to finish, the user would see a blank screen for longer than needed. At least that's how I like to design things.(This is particularly important for thumbnail rendering because it can be very hard to cancel a rendering that is in-progress. Many of the Image IO and QuickLook APIs don't have a way to cancel their requests, thus you're stuck waiting for a thumbnail to be generated even if the presenting view has scrolled off the screen.) Similar concurrency thoughts apply to exporting. I'm OK if a small export job is pre-empting a longer export job because that allows the smaller job to complete sooner and for the user to be able to use the resulting files sooner. If a user initiates a small export while a large export is already underway, then chances are they want access to that small export ASAP. They shouldn't have to wait for the larger one to complete. I realize this causes the total time to completion for all outstanding requests to increase, but from the user's perspective (IMHO), the system appears more performant. The only way I know how to do this is with a "tree of concurrent queues", so perhaps my use-case, architecture and trade-offs are significantly different than those used in the WWDC talking points. Additional Commentary: Earlier you pointed out that I was likely wrong in concluding that an application should have a single, serial root queue. Given this discussion, I agree. But what about in the context of a single, concurrent root queue? I remember reading in older mailing lists that we shouldn't explicitly target any of the global queues. Perhaps the introduction of QoS was the reason? Regardless, it's my understanding that if you have a concurrent queue running at a given QoS, then Dispatch will boost that queue's QoS to the highest QoS of any in-flight worker item and then return to the original QoS once that worker item has completed. I've applied that strategy by having a single, concurrent root queue in my application who's QoS is utility. The various sub-systems have their own concurrent queues with higher QoS values, but all target the root queue. This appears to work ok, but I'm sort of just guessing on this strategy. Sadly, imptrace, the tool for monitoring QoS boosting, does not appear to work in Catalina. Should I use a single concurrent queue as the root queue of an application? Does it make sense to run it with a low QoS and rely on boosting from targetted queues or is that just silly?
This question comes up so frequently that it would be extremely appreciated if someone on the SwiftUI team or a DTS representative could chime in on this. The vast majority of sample code and documentation assumes a view model can be created without any parameters to its initializer, which is not always the case. And in the Fruta example app a single Model is used for the entire application, which really isn't realistic for larger scale applications.
I've resorted to the following design pattern but I remain unsure if this is considered a "correct" way to initialize an @StateObject property:
struct ParentView: View {
var body: some View {
ChildView(viewModel: ChildViewModel(someValue: "foo"))
_Records of molecules from another source follow_
~~~
No. 1
Below is C41H36BiN3OPSSe as an isolated structure, with properties calculated with wB97M-V/def2-TZVPD.

Each line ends with the Löwdin charge.
Geometry (Å):
Bi 0.4627 -1.0861 -1.2199  1.3754
C -0.2032 4.0040 2.7342  -0.0414
C -1.6687 3.7349 2.9623  -0.2546
C -2.3236 4.5161 3.9191  -0.0657
C -3.6753 4.3931 4.1797  -0.0997
C -4.4229 3.4779 3.4520  -0.0966
C -3.7933 2.7010 2.4991  -0.1400
C -2.4144 2.7804 2.2544  -0.3267
P -1.9140 1.7221 0.8280  1.1364
C -0.0819 1.6132 0.7752  -0.3916
C 0.4814 2.2194 -0.3533  -0.1619
C 1.8495 2.2040 -0.5855  -0.0926
C 2.6723 1.5452 0.3128  -0.0673
C 2.1305 0.9421 1.4393  -0.0543
C 0.7621 0.9710 1.7003  -0.2968
C 0.2543 0.3489 2.9710  -0.0491
C -2.4367 0.0320 1.3429  -0.3306
C -2.9264 -0.2728 2.6151  -0.1273
C -3.3718 -1.5413 2.9362  -0.0942
C -3.3294 -2.5448 1.9738  -0.0817
C -2.8360 -2.2650 0.7177  -0.0784
C -2.3809 -0.9857 0.3706  -0.3482
C -1.8253 -0.7826 -0.9901  -0.3531
H 0.1056 4.8713 3.3183  0.0727
H 0.0132 4.2059 1.6852  0.0805
H 0.4219 3.1625 3.0270  0.0715
H -1.7414 5.2475 4.4686  0.1017
H -4.1433 5.0166 4.9313  0.0949
H -5.4880 3.3759 3.6174  0.0979
H -4.3838 1.9995 1.9199  0.1022
H -0.1784 2.6935 -1.0719  0.0949
H 2.2632 2.6639 -1.4744  0.0925
H 3.7372 1.4820 0.1265  0.1074
H 2.7838 0.4249 2.1331  0.1038
H 1.0717 0.2460 3.6858  0.0823
H -0.1576 -0.6436 2.7796  0.0522
H -0.5329 0.9542 3.4237  0.0680
H -2.9508 0.4955 3.3773  0.0941
H -3.7418 -1.7480 3.9330  0.0939
H -3.6690 -3.5466 2.2071  0.1016
H -2.7806 -3.0518 -0.0258  0.0845
H -1.9594 0.2425 -1.3435  0.0077
H -2.2917 -1.4681 -1.6987  0.0271
O 2.5559 -0.9698 -2.9249  -0.2701
C 2.9953 0.1891 -3.2139  -0.4404
C 4.3401 0.5829 -2.9271  -0.0361
C 4.8205 1.8374 -3.2195  -0.1235
C 4.0127 2.8047 -3.8303  -0.1433
C 2.7083 2.4598 -4.1352  -0.0954
C 2.1910 1.1978 -3.8417  -0.1278
C 0.7973 0.9113 -4.1761  -0.2895
N -0.1208 0.3261 -3.4312  0.0071
C -1.2815 0.3125 -4.1675  -0.1527
C -1.0734 0.9006 -5.3740  -0.0971
N 0.2508 1.2780 -5.3663  0.1034
H 4.9732 -0.1587 -2.4532  0.1000
H 5.8467 2.0832 -2.9659  0.0914
H 4.3919 3.7942 -4.0479  0.0806
H 2.0516 3.2021 -4.5817  0.1027
H -2.1879 -0.1205 -3.7792  0.0930
H -1.7223 1.0771 -6.2128  0.0982
H 0.7718 1.6848 -6.1219  0.1504
Se 0.2620 -3.1101 -2.9824  0.6134
C -1.2141 -4.0743 -2.2337  -0.6744
C -2.4986 -3.9435 -2.7578  -0.1445
C -3.5359 -4.6807 -2.2091  -0.1753
N -3.3895 -5.5266 -1.1896  0.0407
C -2.1573 -5.6505 -0.6963  -0.1679
C -1.0516 -4.9649 -1.1773  -0.1552
H -2.6825 -3.2744 -3.5890  0.0914
H -4.5408 -4.5829 -2.6083  0.0967
H -2.0436 -6.3372 0.1364  0.1010
H -0.0813 -5.1031 -0.7218  0.0699
S 0.4822 -2.7250 0.8839  0.5389
C 2.1686 -2.4593 1.3407  -0.6863
C 2.4951 -2.3879 2.6988  -0.1559
C 3.7941 -2.1313 3.1092  -0.1166
C 4.8008 -1.9290 2.1728  -0.1195
C 4.4918 -2.0163 0.8222  -0.0963
C 3.1971 -2.2923 0.4065  -0.1442
H 1.7075 -2.5219 3.4305  0.0932
H 4.0188 -2.0772 4.1683  0.0944
H 5.8129 -1.7142 2.4923  0.0894
H 5.2638 -1.8711 0.0758  0.0986
H 2.9930 -2.3697 -0.6560  0.0667

## Properties
~~~
_So much for the records of molecules_
class ChildViewModel: ObservableObject {
init(someValue: Any) {
struct ChildView: View {
@StateObject var viewModel: ChildViewModel
This pattern appears to work correctly and doesn't require the small "hack" of using the underscore to initialize the @StateObject, which appears to be discouraged based on my reading of the documentation:
// You don’t call this initializer directly. Instead, declare a property with the
// @StateObject attribute in a View, App, or Scene, and provide an initial value:
struct MyView: View {
@StateObject var model = DataModel()
Sure thing, though as a perfect example of what I'm referring to, I actually can't log into Feedback Assistant within a virtual machine. Feedback Assistant's login screen simply reports "An error occurred during authentication." when I enter my Apple Developer credentials.
I can, of course, log into Feedback Assistant from the host macOS instance, but not from within the guest instance. At the moment, my host is running Monterey while my guest is running Ventura. I'd like to spend more time testing Ventura and building software within it, but without access to iCloud or my developer account, it makes that goal almost impossible.
Looks like it's as simple as attached a binder to columnVisibility in the NavigationStackView initializer and setting an appropriate column visibility value as needed.
(See reply below.)
Follow-up 2:
Oh, interesting! If you create a new XPC target in Xcode and opt for the "libXML" option, then the template that is generated shows how to pair xpc_session with xpc_listener.
Kudos to whoever at Apple was responsible for that...
Same problem here. Updated to macOS 15.1 today and then downloaded Xcode 16.1 (16B40).
On launch, Xcode attempted to download the predictive code model but failed. Also fails when download is invoked from Xcode - Settings - Downloads.
This is the first attempt at downloading Xcode's predictive code model. Prior to today, laptop was running macOS 14.
The operation couldn’t be completed. (ModelCatalog.CatalogErrors.AssetErrors error 1.)
Domain: ModelCatalog.CatalogErrors.AssetErrors
Code: 1
User Info: {
DVTErrorCreationDateKey = "2024-10-28 20:15:42 +0000";
Failed to find asset: - no asset
Domain: ModelCatalog.CatalogErrors.AssetErrors
Code: 1
• Records of molecules that have nothing to do with the article:
- - -
Formula: C4H11NO2
Source: the OMol25 dataset
Level of theory: ωB97M-V/def2-TZVPD

Total charge: 0
Kohn-Sham gap: 10.11 eV
Highest occupied orbital energy: -9.54 eV
Structure (SMILES): CCC(N)=O.CO
LUMO level: 0.6 eV
Energy relative to the best compared isomer or geometry (same formula, charge and spin): 25.0 kcal/mol

The geometry in XYZ format:
```
18
Properties=species:S:1:pos:R:3:nbo_charge:R:1
C -0.79277 -2.02687 -0.47089 -0.62
C 0.39523 -1.97190 0.50301 -0.51
C 0.33518 -0.91243 1.58723 0.68
N -0.11724 0.31083 1.15749 -0.84
O 0.63757 -1.24025 2.71411 -0.61
H -1.70233 -1.86001 0.11561 0.21
H -0.78722 -3.04746 -0.86035 0.22
H -0.69591 -1.41959 -1.36955 0.21
H 0.48442 -2.88482 1.11512 0.24
H 1.29352 -1.84925 -0.14318 0.22
H -0.30667 1.05705 1.79971 0.40
H -0.36372 0.46135 0.19514 0.41
C 0.45304 2.66237 -0.81397 -0.26
O -0.00733 1.80359 -1.78423 -0.72
H 1.16951 2.09314 -0.21786 0.19
H -0.31710 3.15723 -0.18820 0.16
H 1.08069 3.53773 -1.03999 0.16
H -0.75884 2.12929 -2.29922 0.48
```



Formula: CH6N2S
Source: the OMol25 dataset
Level of theory: ωB97M-V/def2-TZVPD

Total charge: 0
Kohn-Sham gap: 8.60 eV
Highest occupied orbital energy: -8.13 eV
LUMO level: 0.5 eV
Energy relative to the best compared isomer or geometry (same formula, charge and spin): 62.7 kcal/mol

The geometry in XYZ format:
```
10
Properties=species:S:1:pos:R:3:nbo_charge:R:1
C -0.01408 0.01928 0.90756 -0.03
N -0.24099 -1.01455 -1.01367 -0.69
N 0.57634 -0.92090 0.15243 -0.41
S -0.06166 2.17973 -0.29253 -0.56
H -1.02342 0.12873 0.90822 0.21
H 0.58652 0.37864 1.74116 0.22
H 0.08834 -1.78072 -1.54988 0.36
H -0.34983 -0.00864 -1.51157 0.40
H 1.54510 -1.21609 0.08901 0.40
H -1.10632 2.23450 0.56926 0.11
```



Formula: C8H20N2O5V
Source: the OMol25 dataset
Level of theory: ωB97M-V/def2-TZVPD

Total charge: +4
Kohn-Sham gap (spin up / spin down): 7.25 / 7.93 eV
Highest occupied orbital energy (spin up / spin down): -25.67 / -25.68 eV
Multiplicity: 2
LUMO level (spin up / spin down): -18.4 / -17.7 eV
<S²>: 0.7632

The geometry in XYZ format:
```
36
Properties=species:S:1:pos:R:3:mulliken_spin:R:1
V -0.08878 -0.13576 0.13215 1.11
C -1.41343 -2.09892 1.92230 0.00
O -1.55021 -1.01734 0.86908 -0.03
C -2.94689 -0.74000 0.36182 0.00
C -2.75652 0.06120 -0.92774 0.01
O -1.44574 0.77512 -0.75893 -0.03
C -1.32955 2.28124 -0.87271 0.01
C -0.70327 2.72884 0.44045 0.00
O 0.14881 1.59386 0.91541 -0.02
C 1.08369 1.91714 2.07405 0.00
H -1.83987 -1.71156 2.84584 0.00
H -0.34570 -2.29342 2.04770 0.00
H -1.93786 -2.98506 1.57079 0.00
H -3.46943 -0.20349 1.15246 0.00
H -3.43185 -1.69851 0.17620 0.00
H -3.54822 0.79753 -1.06293 0.00
H -2.67576 -0.54811 -1.82491 0.00
H -2.32904 2.69741 -0.99361 0.00
H -0.73151 2.47942 -1.75894 0.00
H -1.42347 2.93181 1.23172 0.00
H -0.05431 3.59176 0.29049 0.00
H 1.17829 2.99957 2.09878 0.00
H 2.03425 1.44670 1.84086 0.00
H 0.62112 1.53722 2.98109 0.00
C 4.50268 -0.04987 -1.01153 0.00
O 3.45717 -1.07408 -1.45253 0.00
C 2.26034 -1.15899 -1.17827 0.01
- - -
System Information
macOS Version 15.1 (Build 24B83)
Xcode 16.1 (23503) (Build 16B40)
Timestamp: 2024-10-28T16:15:42-04:00